English Department Coordinator Kim Gilbert Makes Major Changes
Gilbert’s actions focused on modernizing traditional practices
Gilbert is pleased with the department’s response. “I love that the department has been really willing to consider changes and to work with me so that we can strengthen what we offer to students and hopefully meet their needs more so than we have in the past,” Gilbert said.
February 25, 2022
**What comes next are materials data, not part of the article:**
********
Entry from Alexandria: Ac12Tl6Tc after structural relaxation (GGA-PBE).

a = 9.149 Å, b = 9.149 Å, c = 9.149 Å
α = 93.62°, β = 93.62°, γ = 93.62°
Fractional coordinates of all 19 atoms:
Tl  0.140  0.729  0.353
Ac  0.923  0.692  0.035
Ac  0.692  0.035  0.923
Ac  0.421  0.550  0.197
Ac  0.197  0.421  0.550
Tl  0.729  0.353  0.140
Tc  0.000  0.000  0.000
Tl  0.271  0.647  0.860
Ac  0.077  0.308  0.965
Ac  0.803  0.579  0.450
Tl  0.860  0.271  0.647
Tl  0.353  0.140  0.729
Ac  0.308  0.965  0.077
Ac  0.965  0.077  0.308
Ac  0.450  0.803  0.579
Ac  0.550  0.197  0.421
Ac  0.579  0.450  0.803
Tl  0.647  0.860  0.271
Ac  0.035  0.923  0.692

Properties
Its formation energy is -0.13 eV per atom.

~~~~~

This record from Alexandria via LeMat-Bulk describes a relaxed structure of Ni2HPdI. The functional is GGA-PBEsol.

Cell lengths 4.620, 4.620, 4.980 Å; angles 90.00, 90.00, 90.00 degrees
Space group P4/mmm (No. 123)
Inequivalent atoms, fractional coordinates:
Ni 0.000 0.500 0.000 [2 per cell]
H 0.000 0.000 0.500 [1 per cell]
Pd 0.500 0.500 0.500 [1 per cell]
I 0.500 0.500 0.000 [1 per cell]

Values from the calculation:
Raw total energy: -3.22 eV per atom
M_tot: 0.3481 μB/atom

This record from Alexandria via LeMat-Bulk describes a relaxed structure of TiCrGe2P. The functional is GGA-PBEsol.

Cell lengths 4.598, 4.598, 4.258 Å; angles 90.00, 90.00, 90.00 degrees
Space group P4/mmm (No. 123)
Inequivalent atoms, fractional coordinates:
Ti 0.000 0.000 0.000 [1 per cell]
Cr 0.500 0.500 0.500 [1 per cell]
Ge 0.000 0.500 0.500 [2 per cell]
P 0.500 0.500 0.000 [1 per cell]

Values from the calculation:
M_tot: 0.5044 μB/atom
Formation energy: 480.4 meV/atom

This record from Alexandria via LeMat-Bulk describes a relaxed structure of Cr2FeRe. The functional is GGA-PBEsol.

Cell lengths 2.872, 4.102, 8.023 Å; angles 90.00, 90.00, 90.00 degrees
Space group Imm2 (No. 44)
Inequivalent atoms, fractional coordinates:
Cr 0.000 0.000 0.000 [2 per cell]
Cr 0.000 0.500 0.276 [2 per cell]
Fe 0.000 0.000 0.522 [2 per cell]
Re 0.000 0.500 0.755 [2 per cell]

Values from the calculation:
M_tot: 0.0001 μB/atom
Formation energy: 131.0 meV/atom

This record from Alexandria via LeMat-Bulk describes a relaxed structure of LiTa2F. The functional is GGA-PBEsol.

Cell lengths 6.045, 6.045, 6.045 Å; angles 90.00, 90.00, 90.00 degrees
Space group Fm-3m (No. 225)
Inequivalent atoms, fractional coordinates:
Li 0.000 0.000 0.000 [4 per cell]
Ta 0.250 0.250 0.250 [8 per cell]
F 0.000 0.000 0.500 [4 per cell]

Values from the calculation:
Raw total energy: -6.76 eV per atom
M_tot: 0.0001 μB/atom

This record from Alexandria via LeMat-Bulk describes a relaxed structure of Ta3AlP. The functional is GGA-PBEsol.

Cell lengths 4.548, 4.548, 4.548 Å; angles 90.00, 90.00, 90.00 degrees
Space group Pm-3m (No. 221)
Inequivalent atoms, fractional coordinates:
Ta 0.000 0.000 0.500 [3 per cell]
Al 0.500 0.500 0.500 [1 per cell]
P 0.000 0.000 0.000 [1 per cell]

Values from the calculation:
********
Renovation is a hard job, but when your pipes are rusting and the windows aren’t up to code, it’s necessary. This was the job for Kim Gilbert when she was voted in as English Department Coordinator by her peers through a formal election process three years ago.
As her first term as coordinator comes to an end, Gilbert is looking to enter her second term on a high note after a series of reforms to the department. Traditionally accepted practices like summer reading, standardized grammar curricula, senior electives, and required books across grade levels have been either completely removed or undergone dramatic changes.
Gilbert, who’s been teaching at Creek for almost 15 years, said the traditions at Creek were widely accepted because of teachers’ comfort with the system.
“A lot have teachers in the department had been here for a long time, and so many people in the department liked their ability to do what they needed to do,” Gilbert said. “They didn’t really want to make many changes, and they were very comfortable in the department. For me coming in as a new teacher, it was really nice because everybody seemed to know how this place worked, and I just needed to figure out how to fit into that and then I then I was fine.”
But after she acclimated to her career at Creek, she decided that some things need to change as the demographics of Creek changed.
“We had to evolve, and that’s just even with what we are dealing with now with the pandemic. The needs of mental health, more diverse texts, differentiating the way that we’re teaching and the way we’re grading,” Gilbert said, “if you don’t evolve, then you’re going to be like a dinosaur and end up dying out.”
Other English teachers look to Gilbert as a facilitator of change in a department that has historically strong qualities, but is also old-fashioned.
“I think the way that she conducts herself is so fascinating for kids and for teachers because she’s open to hearing people and hearing different voices, and she really listens to people,” English teacher Lesley Philipps said. “She’s amenable to change, and this is a very traditional school, so I think the fact that she is so willing to enable and help make some appropriate changes is a pretty admirable task.”
Philipps also mentioned that having a female coordinator was an interesting change for her both professionally and personally, and that she enjoys Gilbert’s sense of humor and personality, but also her humanity and capacity to treat members of the department like her family.
“She’s witty and funny and she has a great dry sense of humor. I think that she is very, very in tune with what our department needs as professionals, and then also as people,” Philipps said. “We’ve just had some hard things happen in our department over the past month for people personally – with illness and losing parents and things along those lines – and she’s very much a provider, a giver, and a nurturer in that way. She is collecting money for people and having cards signed for individuals from our department.”
In the biggest department on campus, with around 38 teachers, Gilbert manages tasks like master schedules and teaching her own classes, but also the bigger and more long term changes that she wanted to make.
“I don’t want to take credit for all of those things, because what happened was when I stepped in, I said, ‘I’d be open to the possibility of changing whatever we need to change,’” Gilbert said. “My method has been to get as much input and feedback from the department as possible, so I don’t feel like I’m driving this change, I’m just throwing out ideas and possibilities and seeing what the department members really want to do.”
One of the first steps was getting rid of summer reading, which many students were not fans of. Part of the ideology behind that move was the desire from teacher’s perspectives to foster a love for reading for their students, and the fact that they didn’t feel summer reading was necessarily accomplishing that.
“We want kids to have a love of reading, but is assigning summer reading allowing students to then love reading?” Philipps said. “I think that’s why we strayed from that a little bit.”
Another project the department took on was changing the guidelines around required books across grade levels, such as every freshman reading To Kill a Mocking Bird, or every sophomore reading Catcher in the Rye. Teachers looked to make the books they were teaching more representative of the student body.
“What we want in this big world is for our students to be exposed to ideas or perspectives that are different from their own, and from eras and time periods are different from their own,” English teacher Joel Morris said. “We want books that they see themselves in that maybe they haven’t seen themselves in or represented in before. Seeing yourself in a novel or a story or a movie can be such a powerful and empowering thing.”
Rules around the grammar test were also altered, with COVID acting as a catalyst for taking a test that was a huge part of the department and making it much less important.
“It began last year born out of necessity because it was just unwieldy to teach that grammar unit online,” Eichorn said. “I think it’s hard to justify the time it would take given that teachers just couldn’t get as much done last year.”
Gilbert said in addition to more immediate needs, there were also some philosophical questions around holding a test that was such a huge percentage of a student’s final grade – usually fifteen percent.
“The question became, what skills are necessarily the most important in that workbook? Is this preparation for an ACT exam? Is it a writing skill? Does it improve writing? So all of those types of conversations started to happen,” Gilbert said.
One of Gilberts most recent changes was opening senior electives to the junior class, with the stipulation that if they took a semester elective, they had to take an intro to college composition course the next semester. Previously, incoming juniors had the choice between CP 11 and AP English Language and Composition.
“I think it’ll be pretty cool for students to have some some more choice than what they have traditionally been offered,” Philipps said. “It’ll be a really interesting change for them to have that more college like experience where they are allowed the freedom to not be pigeonholed in one of two classes.”
Gilbert said that overall, she is pleased with the response from the department and how receptive teachers have been to her plans.
“I love that the department has been really willing to consider changes and to work with me so that we can strengthen what we offer to students and hopefully meet their needs more so than we have in the past, especially with the changing environment in the society in Creek,” Gilbert said.
Just like renovating a house, renovating the English department was a family affair, and according to Philipps the sense of family is one of the best things to come out of Gilbert’s time as Coordinator.
“The people in our department, we’ve all been together for a long time, and maybe I’m just like such a nerd, but I think of them as my family,” Philipps said. “The collaborative piece that we have now is huge. You feel happiness in the workplace, and there’s that feeling of, we’re a family, and we’re a team. That feels really incredible, and I feel like she’s planted the seed for that.”